Listing:
┌──
# 1
# Cs3Tl2I2Cl3

A relaxed Cs3Tl2I2Cl3 crystal (GGA-PBE, Alexandria via LeMat-Bulk).

Geometry as POSCAR:
```
Cs3Tl2I2Cl3
1.0
-2.770 2.770 17.251
2.770 -2.770 17.251
2.770 2.770 -17.251
Cs Tl I Cl
3 2 2 3
Direct
0.000 0.000 0.000
0.401 0.401 0.000
0.599 0.599 0.000
0.198 0.198 0.000
0.802 0.802 0.000
0.250 0.750 0.500
0.750 0.250 0.500
0.097 0.097 0.000
0.500 0.500 0.000
0.903 0.903 0.000
```

Results
SG: I4/mmm, No. 139
Magnetization in μB per cell: 0.00
E_form (uncorrected) in meV per atom: -1309

---

# 2
# K2Tl3In

A relaxed K2Tl3In crystal (GGA-PBE, Alexandria via LeMat-Bulk).

Geometry as POSCAR:
```
K2Tl3In
1.0
0.000 5.459 9.502
3.861 0.000 9.502
3.861 5.459 0.000
K Tl In
4 6 2
Direct
0.245 0.755 0.755
0.250 0.250 0.250
0.750 0.750 0.750
0.755 0.245 0.245
0.169 0.169 0.831
0.169 0.662 0.338
0.338 0.831 0.169
0.662 0.169 0.831
0.831 0.338 0.662
0.831 0.831 0.169
0.334 0.334 0.666
0.666 0.666 0.334
```

Results
SG: Fmmm, No. 69
Magnetization in μB per cell: 0.00
ΔE_f in eV/atom: -0.078
E above lowest polymorph in meV/atom: 32.3

---

# 3
# HfB3Os

A relaxed HfB3Os crystal (GGA-PBE, Alexandria via LeMat-Bulk).

Geometry as POSCAR:
```
HfB3Os
1.0
4.102 0.000 0.000
0.000 4.102 0.000
0.000 0.000 4.102
Hf B Os
1 3 1
Direct
0.000 0.000 0.000
0.000 0.000 0.500
0.000 0.500 0.000
0.500 0.000 0.000
0.500 0.500 0.500
```

Results
SG: Pm-3m, No. 221
Magnetization in μB per cell: 0.00
ΔE_f in eV/atom: 2.275
E above lowest polymorph in meV/atom: 1667.4

---

# 4
# AcHoSbS

A relaxed AcHoSbS crystal (GGA-PBE, Alexandria via LeMat-Bulk).

Geometry as POSCAR:
```
AcHoSbS
1.0
5.006 0.000 0.000
0.000 5.006 0.000
0.000 0.000 10.249
Ac Ho Sb S
2 2 2 2
Direct
0.250 0.250 0.146
0.750 0.750 0.854
0.250 0.750 0.500
0.750 0.250 0.500
0.250 0.250 0.674
0.750 0.750 0.326
0.250 0.750 0.000
0.750 0.250 0.000
```

Results
SG: P4/nmm, No. 129
Magnetization in μB per cell: 0.06
E_form (uncorrected) in meV per atom: -1329

---

# 5
# YAu3

A relaxed YAu3 crystal (GGA-PBE, Alexandria via LeMat-Bulk).

Geometry as POSCAR:
```
YAu3
1.0
4.227 0.000 0.000
-2.113 3.661 0.000
0.000 0.000 6.337
Y Au
1 3
Direct
0.000 0.000 0.000
0.000 0.000 0.500
0.667 0.333 0.265
0.667 0.333 0.735
```

Results
SG: P-6m2, No. 187
Magnetization in μB per cell: 0.00
ΔE_f in eV/atom: -0.411

---

# 6
# K2Cd3I8

A relaxed K2Cd3I8 crystal (GGA-PBE, Alexandria via LeMat-Bulk).

Geometry as POSCAR:
```
K2Cd3I8
1.0
8.580 -4.415 0.000
8.580 4.415 0.000
-2.313 0.000 7.463
K Cd I
2 3 8
Direct
0.239 0.239 0.168
0.761 0.761 0.832
0.243 0.757 0.500
0.500 0.500 0.000
0.757 0.243 0.500
0.112 0.112 0.451
0.162 0.636 0.107
0.364 0.838 0.893
0.397 0.397 0.597
0.603 0.603 0.403
0.636 0.162 0.107
0.838 0.364 0.893
0.888 0.888 0.549
```

Results
SG: C2/m, No. 12
Magnetization in μB per cell: 0.00
E_form (uncorrected) in meV per atom: -830

---

# 7
# TaBiIr

A relaxed TaBiIr crystal (GGA-PBE, Alexandria via LeMat-Bulk).

Geometry as POSCAR:
```
TaBiIr
1.0
3.530 0.000 0.000
-1.765 3.057 0.000
0.000 0.000 11.870
Ta Bi Ir
2 2 2
Direct
0.000 0.000 0.138
0.000 0.000 0.862
0.333 0.667 0.339
0.333 0.667 0.661
0.000 0.000 0.500
0.333 0.667 0.000
```

Results
SG: P-6m2, No. 187
Magnetization in μB per cell: 0.00
ΔE_f in eV/atom: 0.381

---

# 8
# OsWSe2Br

A relaxed OsWSe2Br crystal (GGA-PBE, Alexandria via LeMat-Bulk).

Geometry as POSCAR:
```
OsWSe2Br
1.0
4.898 0.000 0.000
0.000 4.898 0.000
0.000 0.000 5.163
Os W Se Br
1 1 2 1
Direct
0.000 0.000 0.000
0.500 0.500 0.500
0.000 0.500 0.500
└──
Exercise:
Next, copy the whole of the contents above verbatim.
Done:
# 1
# Cs3Tl2I2Cl3

A relaxed Cs3Tl2I2Cl3 crystal (GGA-PBE, Alexandria via LeMat-Bulk).

Geometry as POSCAR:
```
Cs3Tl2I2Cl3
1.0
-2.770 2.770 17.251
2.770 -2.770 17.251
2.770 2.770 -17.251
Cs Tl I Cl
3 2 2 3
Direct
0.000 0.000 0.000
0.401 0.401 0.000
0.599 0.599 0.000
0.198 0.198 0.000
0.802 0.802 0.000
0.250 0.750 0.500
0.750 0.250 0.500
0.097 0.097 0.000
0.500 0.500 0.000
0.903 0.903 0.000
```

Results
SG: I4/mmm, No. 139
Magnetization in μB per cell: 0.00
E_form (uncorrected) in meV per atom: -1309

---

# 2
# K2Tl3In

A relaxed K2Tl3In crystal (GGA-PBE, Alexandria via LeMat-Bulk).

Geometry as POSCAR:
```
K2Tl3In
1.0
0.000 5.459 9.502
3.861 0.000 9.502
3.861 5.459 0.000
K Tl In
4 6 2
Direct
0.245 0.755 0.755
0.250 0.250 0.250
0.750 0.750 0.750
0.755 0.245 0.245
0.169 0.169 0.831
0.169 0.662 0.338
0.338 0.831 0.169
0.662 0.169 0.831
0.831 0.338 0.662
0.831 0.831 0.169
0.334 0.334 0.666
0.666 0.666 0.334
```

Results
SG: Fmmm, No. 69
Magnetization in μB per cell: 0.00
ΔE_f in eV/atom: -0.078
E above lowest polymorph in meV/atom: 32.3

---

# 3
# HfB3Os

A relaxed HfB3Os crystal (GGA-PBE, Alexandria via LeMat-Bulk).

Geometry as POSCAR:
```
HfB3Os
1.0
4.102 0.000 0.000
0.000 4.102 0.000
0.000 0.000 4.102
Hf B Os
1 3 1
Direct
0.000 0.000 0.000
0.000 0.000 0.500
0.000 0.500 0.000
0.500 0.000 0.000
0.500 0.500 0.500
```

Results
SG: Pm-3m, No. 221
Magnetization in μB per cell: 0.00
ΔE_f in eV/atom: 2.275
E above lowest polymorph in meV/atom: 1667.4

---

# 4
# AcHoSbS

A relaxed AcHoSbS crystal (GGA-PBE, Alexandria via LeMat-Bulk).

Geometry as POSCAR:
```
AcHoSbS
1.0
5.006 0.000 0.000
0.000 5.006 0.000
0.000 0.000 10.249
Ac Ho Sb S
2 2 2 2
Direct
0.250 0.250 0.146
0.750 0.750 0.854
0.250 0.750 0.500
0.750 0.250 0.500
0.250 0.250 0.674
0.750 0.750 0.326
0.250 0.750 0.000
0.750 0.250 0.000
```

Results
SG: P4/nmm, No. 129
Magnetization in μB per cell: 0.06
E_form (uncorrected) in meV per atom: -1329

---

# 5
# YAu3

A relaxed YAu3 crystal (GGA-PBE, Alexandria via LeMat-Bulk).

Geometry as POSCAR:
```
YAu3
1.0
4.227 0.000 0.000
-2.113 3.661 0.000
0.000 0.000 6.337
Y Au
1 3
Direct
0.000 0.000 0.000
0.000 0.000 0.500
0.667 0.333 0.265
0.667 0.333 0.735
```

Results
SG: P-6m2, No. 187
Magnetization in μB per cell: 0.00
ΔE_f in eV/atom: -0.411

---

# 6
# K2Cd3I8

A relaxed K2Cd3I8 crystal (GGA-PBE, Alexandria via LeMat-Bulk).

Geometry as POSCAR:
```
K2Cd3I8
1.0
8.580 -4.415 0.000
8.580 4.415 0.000
-2.313 0.000 7.463
K Cd I
2 3 8
Direct
0.239 0.239 0.168
0.761 0.761 0.832
0.243 0.757 0.500
0.500 0.500 0.000
0.757 0.243 0.500
0.112 0.112 0.451
0.162 0.636 0.107
0.364 0.838 0.893
0.397 0.397 0.597
0.603 0.603 0.403
0.636 0.162 0.107
0.838 0.364 0.893
0.888 0.888 0.549
```

Results
SG: C2/m, No. 12
Magnetization in μB per cell: 0.00
E_form (uncorrected) in meV per atom: -830

---

# 7
# TaBiIr

A relaxed TaBiIr crystal (GGA-PBE, Alexandria via LeMat-Bulk).

Geometry as POSCAR:
```
TaBiIr
1.0
3.530 0.000 0.000
-1.765 3.057 0.000
0.000 0.000 11.870
Ta Bi Ir
2 2 2
Direct
0.000 0.000 0.138
0.000 0.000 0.862
0.333 0.667 0.339
0.333 0.667 0.661
0.000 0.000 0.500
0.333 0.667 0.000
```

Results
SG: P-6m2, No. 187
Magnetization in μB per cell: 0.00
ΔE_f in eV/atom: 0.381

---

# 8
# OsWSe2Br

A relaxed OsWSe2Br crystal (GGA-PBE, Alexandria via LeMat-Bulk).

Geometry as POSCAR:
```
OsWSe2Br
1.0
4.898 0.000 0.000
0.000 4.898 0.000
0.000 0.000 5.163
Os W Se Br
1 1 2 1
Direct
0.000 0.000 0.000
0.500 0.500 0.500
0.000 0.500 0.500